Given
- - -
{"formula": "Mn2TcSe", "functional": "GGA-PBEsol", "state": "relaxed", "spacegroup": "F-43m", "rho_g_cm3": 9.47, "formation_energy_uncorrected_ev_per_atom": 0.206, "total_magnetization_mub_per_cell": 2.67, "cell": [[4.143, 0.000, 0.000], [2.072, 3.588, 0.000], [2.072, 1.196, 3.383]], "species": ["Mn", "Mn", "Se", "Tc"], "frac_coords": [[0.000, 0.000, 0.000], [0.750, 0.750, 0.750], [0.500, 0.500, 0.500], [0.250, 0.250, 0.250]]}
- - -

Job
Could you work out how many lines further above have the word "F-43m" in them; a number is enough?

Response
1